# Activity
Could you give back every line underneath that contains the word "In"?

# Material
........
# KInPb3

KInPb3 after structural relaxation (PBE-GGA, Alexandria).

abc: 5.914 5.914 5.914
angles: 90.00 90.00 90.00
Space group Pm-3m (No. 221)
Unique sites:
K (0.000, 0.000, 0.000) (multiplicity 1)
In (0.500, 0.500, 0.500) (multiplicity 1)
Pb (0.000, 0.500, 0.500) (multiplicity 3)
........

# Done
In (0.500, 0.500, 0.500) (multiplicity 1)